The project aims to demonstrate the knowledge you gained during the semester. All topics are open problems that do not have only one correct solution. You should choose a topic that you are interested in and which also fits your skills.
None of the topics are new to the machine learning community, and there are several ways to solve them. A crucial part of your task will be to research at least some of these approaches and summarize them. Be sure that you fully understand the techniques you use because one of the main factors influencing your final grade will be how well-justified your approach is. Once you have decided on a method, you will have to prepare your training data, build a model, train it as well as you can, then evaluate its performance. Afterward, you will be expected to write a short report about your experiences and also the knowledge you gained over the course of the project.
Remember that the aim of the project is not to train a perfect NN model that can beat all other methods. Rather, you should show that you are capable of solving an image-processing task with machine-learning techniques.
- Study state-of-the-art approaches related to your task. Cite at least three ML IP papers on this topic, and introduce the basic ideas behind each method.
- Implement one of the methods you found. You can improve an existing implementation of the method you choose. Remember the faculty's code of conduct and list all your resources and collaborations.
- Train a model and evaluate its performance, then compare the results to another non-trivial model. Show that your model is appropriately trained. If you made any improvements to standard techniques, do not forget to validate the benefits.
- Write a report of your experiences with the task. List what difficulties you encountered and how you might improve upon your work in the future. The report can be submitted as a Jupyter Notebook or as formatted text.
Project enrollment - 21.3.2023 (tutorial 06).
- Enroll in your topic by sending an email to
- In the email, include the topic name and attach an academic
paper or another relevant source showcasing an approach you would like to implement.
- You can also choose your own topics, but the tutors reserve the right to reject any proposals that would be trivial or, conversely, too demanding.
Project submission - 5.5.2023.
- Submit your code. Ensure it is well documented, legible, and focuses only on solving the task.
- The project has to follow all the objectives.
Final presentation - 16.5 2023
- Defend a project in a final presentation.
- Your presentation should be only 3 minutes long. Also, please ensure your presentation can be delivered to the computer lab.
Presentation guidelines:
- The presentation should be submitted in .pdf format in advance.
- It should contain only three slides:
- Methodology - Briefly explain the method you used. It is not necessary to provide a detailed explanation of the model, focus only on its crucial parts.
- Results - Provide an example of the model's output and an objective metric measuring the model's performance (if the task allows for it).
- Conclusion - Share your experiences related to the project. What was the most challenging part for you? Suggest what could be added to improve results.
- Methodology - Briefly explain the method you used. It is not necessary to provide a detailed explanation of the model, focus only on its crucial parts.
- You will have 3 minutes to present and one extra minute to answer questions from the audience.
If you have any questions regarding the project, you may ask us at the tutorial or write an email to any of the tutors.
Image classification:
- 1. Amazon forest
- This task is to sort satellite images into classes according to the type of surface they display.
Medical image segmentation:
- 2. Brain Tumor Segmentation
- Build and train a network to segment brain tumors in MRI images.
- 3. Instance segmentation
- The task is to build a network capable of segmenting cells in microscopy images. You can choose any of the 2D+t datasets, but real (non-simulated) datasets are preferred.
Image description:
- 4. Detection of small objects
- This project's objective is to maximize recall when detecting objects of various sizes. Your technique should not miss any small objects.
- 5. Image captioning
- Implement a method to describe the contents of natural images in writing.
Image generation:
- 6. Generate human faces
- Create artificial faces that are indistinguishable from real ones.
- 7. Colorize grayscale images
- Train a model capable of transforming a grayscale image into a color one. Your results can look artistic, but they must have realistic colors.
1. Move data to the server using WinSCP
- download and install WinSCP
- login to the server using the faculty name and password
- copy the data by dragging and drop
- login to using ssh and check if the data are on the server.
2. Run notebook remotely when not using GPU
- check the GPU usage by 'nvitop --monitor'
- log to via ssh
- check if CUDA is available
- set jupyter server password
- run jupyter lab
- connect server port, where the jupyter is running, with an arbitrary port of your local machine by ssh -L XXXX:localhost:YYYY user@server_name where XXXX is a remote port and YYYY is a local port
(Crystal structures, kept here for reference)
____________
Record 1
This record from the Alexandria database describes a geometry-optimized NiMoRuPt structure. The functional is PBE-GGA.

Computed properties:
For the theoretical density, the calculation gives 13.06 g/cm³. For the formation energy, the calculation gives 0.12 eV per atom. The value obtained for the uncorrected energy is -7.86 eV/atom.

a b c (Å): 6.121 6.121 6.121
angles (deg): 90.00 90.00 90.00
Space group F-43m (No. 216)
Symmetry-distinct sites (fractional):
Ni 0.000 0.000 0.000 [4 per cell]
Mo 0.250 0.250 0.250 [4 per cell]
Ru 0.000 0.000 0.500 [4 per cell]
Pt 0.250 0.250 0.750 [4 per cell]

***

Record 2
This record from the Alexandria database describes a geometry-optimized La2MgScC structure. The functional is PBE-GGA.

Computed properties:
For the theoretical density, the calculation gives 4.53 g/cm³. For the formation energy, the calculation gives -0.13 eV per atom. The value obtained for the uncorrected energy is -5.54 eV/atom.

a b c (Å): 5.391 5.391 4.526
angles (deg): 90.00 90.00 90.00
Space group P4/mmm (No. 123)
Symmetry-distinct sites (fractional):
La 0.000 0.500 0.000 [2 per cell]
Mg 0.000 0.000 0.500 [1 per cell]
Sc 0.500 0.500 0.500 [1 per cell]
C 0.500 0.500 0.000 [1 per cell]

***

Record 3
This record from the Alexandria database describes a geometry-optimized Mn2CrCl structure. The functional is PBE-GGA.

Computed properties:
The energy above the most stable polymorph in this dataset comes out at 0.1211 eV per atom. For the theoretical density, the calculation gives 5.16 g/cm³. The value obtained for the uncorrected formation energy is 0.21 eV/atom. The value obtained for the uncorrected energy is -7.24 eV/atom.

a b c (Å): 3.1228 3.1228 22.5576
angles (deg): 90.00 90.00 120.00
Space group R3m (No. 160, hexagonal axes)
Symmetry-distinct sites (fractional):
Mn 0.0000 0.0000 0.0000 [3 per cell]
Mn 0.0000 0.0000 0.2517 [3 per cell]
Cr 0.0000 0.0000 0.7393 [3 per cell]
Cl 0.0000 0.0000 0.4989 [3 per cell]

***

Record 4
This record from the Alexandria database describes a geometry-optimized PbAuO structure. The functional is PBE-GGA.

Computed properties:
The energy above the most stable polymorph in this dataset comes out at 0.0000 eV per atom. For the theoretical density, the calculation gives 10.98 g/cm³. The value obtained for the uncorrected formation energy is -0.60 eV/atom. The value obtained for the uncorrected energy is -4.58 eV/atom.

a b c (Å): 5.607 5.661 16.016
angles (deg): 90.00 90.00 90.00
Space group Fmmm (No. 69)
Symmetry-distinct sites (fractional):
Pb 0.000 0.000 0.174 [8 per cell]
Au 0.244 0.000 0.500 [8 per cell]
O 0.250 0.250 0.250 [8 per cell]

~~~~~

No. 1
{
  "formula": "Ac2InAg2Pd5",
  "functional": "PBE-GGA",
  "state": "relaxed",
  "delta_e_f_ev_per_atom": -0.53,
  "volume_a3_per_fu": 211.5,
  "dft_energy_ev_per_atom": -4.7908,
  "crystal_system": "tetragonal",
  "lattice_angstrom": [[10.278, 0.000, 0.000], [0.000, 10.278, 0.000], [0.000, 0.000, 4.004]],
____________
- in local browser, run localhost:YYYY to connect to jupyter
- check if jupyter is not using GPU
3. Run python script using reserved GPU
- connect to the server
- reserve a GPU partition
- run the python script